Work order
Return all of the data underneath word for word.

Contents
/*
DyYB2As2Ir2 | PBE | relaxed

abc: 3.9679 3.9679 8.6549
angles: 90.00 90.00 90.00
Space group P4mm (No. 99)
One atom of each set of equivalent atoms:
1 Dy 0.0000 0.0000 0.0000 (multiplicity 1)
2 Y 0.5000 0.5000 0.5799 (multiplicity 1)
3 B 0.0000 0.0000 0.3955 (multiplicity 1)
4 B 0.5000 0.5000 0.1824 (multiplicity 1)
5 As 0.0000 0.0000 0.6449 (multiplicity 1)
6 As 0.5000 0.5000 0.9334 (multiplicity 1)
7 Ir 0.0000 0.5000 0.2890 (multiplicity 2)

Output
- volume (Å³ per cell) = 136.27
- electronic total energy (eV for the cell shown) = -58.388

LiHfCu3Se4 | PBE | relaxed

abc: 5.8060 5.8060 5.8060
angles: 90.00 90.00 90.00
Space group P-43m (No. 215)
One atom of each set of equivalent atoms:
1 Li 0.0000 0.0000 0.0000 (multiplicity 1)
2 Hf 0.5000 0.5000 0.5000 (multiplicity 1)
3 Cu 0.0000 0.5000 0.5000 (multiplicity 3)
4 Se 0.2503 0.2503 0.2503 (multiplicity 4)

Output
- volume (Å³ per cell) = 195.72
- electronic total energy (eV for the cell shown) = -43.532

Li4GaBiPd2 | PBE | relaxed

abc: 4.4187 4.4187 6.4415
angles: 90.00 90.00 90.00
Space group P-4m2 (No. 115)
One atom of each set of equivalent atoms:
1 Li 0.0000 0.0000 0.0000 (multiplicity 1)
2 Li 0.0000 0.5000 0.2231 (multiplicity 2)
3 Li 0.5000 0.5000 0.5000 (multiplicity 1)
4 Ga 0.5000 0.5000 0.0000 (multiplicity 1)
5 Bi 0.0000 0.0000 0.5000 (multiplicity 1)
6 Pd 0.0000 0.5000 0.7804 (multiplicity 2)

Output
- volume (Å³ per cell) = 125.77
- electronic total energy (eV for the cell shown) = -29.295

ZrAg2Te3 | PBE | relaxed

abc: 21.1030 4.2531 7.5414
angles: 90.00 93.32 90.00
Space group C2/m (No. 12)
One atom of each set of equivalent atoms:
1 Zr 0.1457 0.0000 0.0612 (multiplicity 4)
2 Ag 0.0414 0.5000 0.1588 (multiplicity 4)
3 Ag 0.2080 0.0000 0.4458 (multiplicity 4)
4 Te 0.0783 0.0000 0.3742 (multiplicity 4)
5 Te 0.0958 0.5000 0.8276 (multiplicity 4)
6 Te 0.2427 0.5000 0.1948 (multiplicity 4)

Output
- volume (Å³ per cell) = 675.74
- electronic total energy (eV for the cell shown) = -106.176

----------

# 1
{
  "formula": "Er6Ag2Os",
  "functional": "PBE-GGA",
  "state": "relaxed",
  "lattice": [[-4.7166, 4.8322, 4.9551], [4.7166, -4.8322, 4.9551], [4.7166, 4.8322, -4.9551]],
  "species": ["Er", "Er", "Er", "Er", "Er", "Er", "Er", "Er", "Er", "Er", "Er", "Er", "Ag", "Ag", "Ag", "Ag", "Os", "Os"],
  "fractional_positions": [[0.0785, 0.2500, 0.8284], [0.1846, 0.2615, 0.4461], [0.1846, 0.7385, 0.9230], [0.2687, 0.6011, 0.3324], [0.2687, 0.9364, 0.6676], [0.4216, 0.2500, 0.1716], [0.5784, 0.7500, 0.8284], [0.7313, 0.0636, 0.3324], [0.7313, 0.3989, 0.6676], [0.8154, 0.2615, 0.0770], [0.8154, 0.7385, 0.5539], [0.9215, 0.7500, 0.1716], [0.3544, 0.0000, 0.3544], [0.5000, 0.3590, 0.8590], [0.5000, 0.6410, 0.1410], [0.6456, 0.0000, 0.6456], [0.0000, 0.0000, 0.0000], [0.0000, 0.5000, 0.5000]],
  "dft_energy_ev_per_atom": -5.12,
  "e_form_kj_per_mol_fu": -172,
  "sg": "Immm",
  "magnetic_moment_mub_per_cell": 0.0
}

# 2
{
  "formula": "MgRh2Se",
  "functional": "PBE-GGA",
  "state": "relaxed",
  "lattice": [[3.1291, 0.0000, 0.0000], [0.0000, 4.4753, 0.0000], [-1.5498, 0.0000, 4.6245]],
  "species": ["Mg", "Rh", "Rh", "Se"],
  "fractional_positions": [[0.0000, 0.0000, 0.0000], [0.2683, 0.0000, 0.5344], [0.6388, 0.5000, 0.2727], [0.3632, 0.5000, 0.7254]],
  "dft_energy_ev_per_atom": -5.20,
  "sg": "Pm",
  "magnetic_moment_mub_per_cell": 0.0
}

# 3
{
  "formula": "SrFe2S4",
  "functional": "PBE-GGA",
  "state": "relaxed",
  "lattice": [[7.5213, 0.0000, 0.0000], [0.0000, 7.5213, 0.0000], [0.0000, 0.0000, 5.3041]],
  "species": ["Sr", "Sr", "Fe", "Fe", "Fe", "Fe", "S", "S", "S", "S", "S", "S", "S", "S"],
*/

Result
DyYB2As2Ir2 | PBE | relaxed

abc: 3.9679 3.9679 8.6549
angles: 90.00 90.00 90.00
Space group P4mm (No. 99)
One atom of each set of equivalent atoms:
1 Dy 0.0000 0.0000 0.0000 (multiplicity 1)
2 Y 0.5000 0.5000 0.5799 (multiplicity 1)
3 B 0.0000 0.0000 0.3955 (multiplicity 1)
4 B 0.5000 0.5000 0.1824 (multiplicity 1)
5 As 0.0000 0.0000 0.6449 (multiplicity 1)
6 As 0.5000 0.5000 0.9334 (multiplicity 1)
7 Ir 0.0000 0.5000 0.2890 (multiplicity 2)

Output
- volume (Å³ per cell) = 136.27
- electronic total energy (eV for the cell shown) = -58.388

LiHfCu3Se4 | PBE | relaxed

abc: 5.8060 5.8060 5.8060
angles: 90.00 90.00 90.00
Space group P-43m (No. 215)
One atom of each set of equivalent atoms:
1 Li 0.0000 0.0000 0.0000 (multiplicity 1)
2 Hf 0.5000 0.5000 0.5000 (multiplicity 1)
3 Cu 0.0000 0.5000 0.5000 (multiplicity 3)
4 Se 0.2503 0.2503 0.2503 (multiplicity 4)

Output
- volume (Å³ per cell) = 195.72
- electronic total energy (eV for the cell shown) = -43.532

Li4GaBiPd2 | PBE | relaxed

abc: 4.4187 4.4187 6.4415
angles: 90.00 90.00 90.00
Space group P-4m2 (No. 115)
One atom of each set of equivalent atoms:
1 Li 0.0000 0.0000 0.0000 (multiplicity 1)
2 Li 0.0000 0.5000 0.2231 (multiplicity 2)
3 Li 0.5000 0.5000 0.5000 (multiplicity 1)
4 Ga 0.5000 0.5000 0.0000 (multiplicity 1)
5 Bi 0.0000 0.0000 0.5000 (multiplicity 1)
6 Pd 0.0000 0.5000 0.7804 (multiplicity 2)

Output
- volume (Å³ per cell) = 125.77
- electronic total energy (eV for the cell shown) = -29.295

ZrAg2Te3 | PBE | relaxed

abc: 21.1030 4.2531 7.5414
angles: 90.00 93.32 90.00
Space group C2/m (No. 12)
One atom of each set of equivalent atoms:
1 Zr 0.1457 0.0000 0.0612 (multiplicity 4)
2 Ag 0.0414 0.5000 0.1588 (multiplicity 4)
3 Ag 0.2080 0.0000 0.4458 (multiplicity 4)
4 Te 0.0783 0.0000 0.3742 (multiplicity 4)
5 Te 0.0958 0.5000 0.8276 (multiplicity 4)
6 Te 0.2427 0.5000 0.1948 (multiplicity 4)

Output
- volume (Å³ per cell) = 675.74
- electronic total energy (eV for the cell shown) = -106.176

----------

# 1
{
  "formula": "Er6Ag2Os",
  "functional": "PBE-GGA",
  "state": "relaxed",
  "lattice": [[-4.7166, 4.8322, 4.9551], [4.7166, -4.8322, 4.9551], [4.7166, 4.8322, -4.9551]],
  "species": ["Er", "Er", "Er", "Er", "Er", "Er", "Er", "Er", "Er", "Er", "Er", "Er", "Ag", "Ag", "Ag", "Ag", "Os", "Os"],
  "fractional_positions": [[0.0785, 0.2500, 0.8284], [0.1846, 0.2615, 0.4461], [0.1846, 0.7385, 0.9230], [0.2687, 0.6011, 0.3324], [0.2687, 0.9364, 0.6676], [0.4216, 0.2500, 0.1716], [0.5784, 0.7500, 0.8284], [0.7313, 0.0636, 0.3324], [0.7313, 0.3989, 0.6676], [0.8154, 0.2615, 0.0770], [0.8154, 0.7385, 0.5539], [0.9215, 0.7500, 0.1716], [0.3544, 0.0000, 0.3544], [0.5000, 0.3590, 0.8590], [0.5000, 0.6410, 0.1410], [0.6456, 0.0000, 0.6456], [0.0000, 0.0000, 0.0000], [0.0000, 0.5000, 0.5000]],
  "dft_energy_ev_per_atom": -5.12,
  "e_form_kj_per_mol_fu": -172,
  "sg": "Immm",
  "magnetic_moment_mub_per_cell": 0.0
}

# 2
{
  "formula": "MgRh2Se",
  "functional": "PBE-GGA",
  "state": "relaxed",
  "lattice": [[3.1291, 0.0000, 0.0000], [0.0000, 4.4753, 0.0000], [-1.5498, 0.0000, 4.6245]],
  "species": ["Mg", "Rh", "Rh", "Se"],
  "fractional_positions": [[0.0000, 0.0000, 0.0000], [0.2683, 0.0000, 0.5344], [0.6388, 0.5000, 0.2727], [0.3632, 0.5000, 0.7254]],
  "dft_energy_ev_per_atom": -5.20,
  "sg": "Pm",
  "magnetic_moment_mub_per_cell": 0.0
}

# 3
{
  "formula": "SrFe2S4",
  "functional": "PBE-GGA",
  "state": "relaxed",
  "lattice": [[7.5213, 0.0000, 0.0000], [0.0000, 7.5213, 0.0000], [0.0000, 0.0000, 5.3041]],
  "species": ["Sr", "Sr", "Fe", "Fe", "Fe", "Fe", "S", "S", "S", "S", "S", "S", "S", "S"],